_Request_
It remains to give back all of the listing further below without altering anything.

_Entries_
=====
Compound: ZnS2Br
Source: Alexandria
Functional: GGA-PBE
Structure: optimized geometry

a = 6.6768 Å, b = 6.6768 Å, c = 6.6768 Å
α = 90.00°, β = 90.00°, γ = 90.00°
Space group Fm-3m (No. 225)
One atom of each set of equivalent atoms:
Zn (0.0000, 0.0000, 0.0000)
S (0.2500, 0.2500, 0.2500)
Br (0.0000, 0.0000, 0.5000)

Output
For the energy above the most stable polymorph in this dataset, the calculation gives 802 meV/atom. As for the formation energy (no corrections): 0.744 eV/atom. Its total energy is -2.0565 eV/atom.

Compound: Zn3SBr
Source: Alexandria
Functional: GGA-PBE
Structure: optimized geometry

a = 4.9861 Å, b = 4.9861 Å, c = 4.9861 Å
α = 90.00°, β = 90.00°, γ = 90.00°
Space group Pm-3m (No. 221)
One atom of each set of equivalent atoms:
Zn (0.0000, 0.0000, 0.5000)
S (0.0000, 0.0000, 0.0000)
Br (0.5000, 0.5000, 0.5000)

Output
For the energy above the most stable polymorph in this dataset, the calculation gives 0 meV/atom. As for the formation energy (no corrections): 0.088 eV/atom. Its total energy is -1.8367 eV/atom.

Compound: ZnS2Br2
Source: Alexandria
Functional: GGA-PBE
Structure: optimized geometry

a = 5.6556 Å, b = 5.6556 Å, c = 8.4214 Å
α = 90.00°, β = 90.00°, γ = 90.00°
Space group I4/mmm (No. 139)
One atom of each set of equivalent atoms:
Zn (0.0000, 0.0000, 0.0000)
S (0.0000, 0.0000, 0.3899)
Br (0.0000, 0.5000, 0.2500)

Output
For the energy above the most stable polymorph in this dataset, the calculation gives 187 meV/atom. As for the formation energy (no corrections): 0.277 eV/atom. Its total energy is -2.2983 eV/atom.
=====

_Done_
Compound: ZnS2Br
Source: Alexandria
Functional: GGA-PBE
Structure: optimized geometry

a = 6.6768 Å, b = 6.6768 Å, c = 6.6768 Å
α = 90.00°, β = 90.00°, γ = 90.00°
Space group Fm-3m (No. 225)
One atom of each set of equivalent atoms:
Zn (0.0000, 0.0000, 0.0000)
S (0.2500, 0.2500, 0.2500)
Br (0.0000, 0.0000, 0.5000)

Output
For the energy above the most stable polymorph in this dataset, the calculation gives 802 meV/atom. As for the formation energy (no corrections): 0.744 eV/atom. Its total energy is -2.0565 eV/atom.

Compound: Zn3SBr
Source: Alexandria
Functional: GGA-PBE
Structure: optimized geometry

a = 4.9861 Å, b = 4.9861 Å, c = 4.9861 Å
α = 90.00°, β = 90.00°, γ = 90.00°
Space group Pm-3m (No. 221)
One atom of each set of equivalent atoms:
Zn (0.0000, 0.0000, 0.5000)
S (0.0000, 0.0000, 0.0000)
Br (0.5000, 0.5000, 0.5000)

Output
For the energy above the most stable polymorph in this dataset, the calculation gives 0 meV/atom. As for the formation energy (no corrections): 0.088 eV/atom. Its total energy is -1.8367 eV/atom.

Compound: ZnS2Br2
Source: Alexandria
Functional: GGA-PBE
Structure: optimized geometry

a = 5.6556 Å, b = 5.6556 Å, c = 8.4214 Å
α = 90.00°, β = 90.00°, γ = 90.00°
Space group I4/mmm (No. 139)
One atom of each set of equivalent atoms:
Zn (0.0000, 0.0000, 0.0000)
S (0.0000, 0.0000, 0.3899)
Br (0.0000, 0.5000, 0.2500)

Output
For the energy above the most stable polymorph in this dataset, the calculation gives 187 meV/atom. As for the formation energy (no corrections): 0.277 eV/atom. Its total energy is -2.2983 eV/atom.